Laravel is a free, open-source web framework for PHP that has grown in popularity over the years. The framework was first released in 2011 and was initially aimed at small to medium size projects. It’s been a favourite for developers ever since.
Why Laravel Is The Best Choice
Laravel has been gaining popularity as the best choice for web development since its initial release in 2011. The reason for its popularity is because of its elegant syntax that makes coding in Laravel easier and faster compared to other frameworks. Please don’t waste any more of your precious business time and start hiring high-quality Laravel developers immediately in order to achieve your desired goal
Another reason why Laravel is the best choice is because of its built-in features that enable developers to create high-quality websites and web applications. Some of these features include:
– A modular packaging system with a dedicated dependency manager
– ORM (object-relational mapping) support
– Blade templating engine
– Query builder and database migrations
– Restful controllers
– Eloquent ORM
All these features make Laravel an ideal choice for web development in 2022 and beyond.
How To Setup Laravel
Laravel is a free, open-source PHP web framework created by Taylor Otwell and intended for the development of web applications following the model–view–controller (MVC) architectural pattern.
If you’re just getting started with Laravel, then setting it up is easy! In this article, we’ll show you how to get Laravel up and running on your server.
First, you need to make sure you have the following dependencies installed on your system:
– PHP >= 7.1.3
– OpenSSL PHP Extension
– PDO PHP Extension
– Mbstring PHP Extension
– Tokenizer PHP Extension
– XML PHP Extension
Next, download the Laravel installer using Composer:
composer global require “laravel/installer”
Once the installer has been downloaded, add the ~/.composer/vendor/bin directory to your PATH so that the laravel command can be run from any directory:
export PATH=”$HOME/.composer/vendor/bin:$PATH”
With Laravel installed, you can now use the laravel new command to create a new Laravel application:
laravel new myapp
This will create a new directory called myapp containing a fresh installation of Laravel. Once the installation is complete, you can serve your application locally by running php artisan serve within your project’s root directory:
cd myapp
The Complete Guide
Laravel has been gaining popularity among web developers for some time now. And it is no wonder why. Laravel is a PHP framework that is packed with features that make web development easier and more fun.
In this guide, we will take a look at what makes Laravel the best choice for web development in 2020 and beyond.
Laravel is a PHP framework that enables developers to create expressive, elegant applications quickly and easily. Laravel takes the pain out of development by simplifying common tasks, such as routing, authentication, caching, and sessions.
Laravel also provides a robust toolkit for testing your applications. With Laravel, you can easily create unit tests for your models and controllers to ensure that your application is working as expected.
According to Usman from Travelskoolz “Another reason why Laravel is the best choice for web development is its vast ecosystem. Laravel has an active community of developers who contribute helpful packages and resources. And when you need help with something, chances are there is already a package or resource available to help you out.”
So if you are looking for a PHP framework that will make your life easier and allow you to create beautiful applications quickly and easily, then Laravel is the best choice for you.
What Are Some Use Cases Of Laravel
There are a number of use cases for Laravel beyond the traditional web application. Some popular use cases include:
-API Development: Laravel’s RESTful controllers make it easy to build an API.
~~~
No. 1
# AcBeN2
Simulated XRD peak list, a wavelength of 1.5418 Å. Input: the GGA-PBE geometry in Alexandria.

Top 6 peaks for 10 to 80 degrees two-theta, low angle first:
d/Å, 2θ (°), intensity
5.399, 16.42, 96.2
3.428, 25.99, 73.3
3.218, 27.72, 100.0
2.651, 33.81, 45.4
2.380, 37.80, 45.5
1.896, 47.99, 39.2

Cell and atoms:
```
AcBeN2
1.0
2.0249 1.1691 5.3993
-2.0249 1.1691 5.3993
0.0000 -2.3381 5.3993
Ac Be N
1 1 2
Direct
0.0000 0.0000 0.0000
0.5000 0.5000 0.5000
0.4058 0.4058 0.4058
0.5942 0.5942 0.5942
```

***

No. 2
# K2Tl3Hg
Simulated XRD peak list, a wavelength of 1.5418 Å. Input: the GGA-PBE geometry in Alexandria.

Top 6 peaks for 10 to 80 degrees two-theta, low angle first:
d/Å, 2θ (°), intensity
4.586, 19.36, 91.5
4.325, 20.53, 53.2
3.182, 28.05, 69.4
2.716, 32.98, 38.7
2.654, 33.78, 57.3
2.643, 33.91, 100.0

Cell and atoms:
```
K2Tl3Hg
1.0
6.1602 -2.6537 0.0000
6.1602 2.6537 0.0000
-5.8028 0.0000 6.4270
K Tl Hg
2 3 1
Direct
0.0000 0.0000 0.0000
0.1213 0.1213 0.6271
0.3979 0.3979 0.2208
0.7202 0.7202 0.0373
0.7275 0.7275 0.4111
0.4041 0.4041 0.6005
```

***

No. 3
# Dy5TmMg6
Simulated XRD peak list, a wavelength of 1.5418 Å. Input: the GGA-PBE geometry in Alexandria.

Top 6 peaks for 10 to 80 degrees two-theta, low angle first:
d/Å, 2θ (°), intensity
3.789, 23.48, 64.3
3.765, 23.63, 31.7
2.679, 33.44, 50.4
2.671, 33.55, 100.0
2.183, 41.36, 29.7
1.545, 59.85, 37.8

Cell and atoms:
```
Dy5TmMg6
1.0
2.6799 -8.0367 0.0000
2.6799 8.0367 0.0000
0.0000 0.0000 7.5306
Dy Tm Mg
5 1 6
Direct
0.0000 0.0000 0.0000
0.3328 0.6672 0.0000
0.3342 0.6658 0.5000
0.6658 0.3342 0.5000
0.6672 0.3328 0.0000
0.0000 0.0000 0.5000
0.1664 0.8336 0.2508
0.1664 0.8336 0.7492
0.5000 0.5000 0.2506
0.5000 0.5000 0.7494
0.8336 0.1664 0.2508
0.8336 0.1664 0.7492
```

***

No. 4
# Er3S3N
Simulated XRD peak list, a wavelength of 1.5418 Å. Input: the GGA-PBE geometry in Alexandria.

Top 6 peaks for 10 to 80 degrees two-theta, low angle first:
d/Å, 2θ (°), intensity
3.368, 26.46, 100.0
3.222, 27.68, 79.3
3.142, 28.41, 78.3
2.514, 35.72, 68.0
2.265, 39.79, 65.2
1.888, 48.20, 67.4

Cell and atoms:
```
Er3S3N
1.0
11.8532 0.0000 0.0000
0.0000 3.7763 0.0000
0.0000 0.0000 12.8898
Er S N
12 12 4
Direct
0.0498 0.2500 0.1400
0.0610 0.2500 0.6337
0.2085 0.2500 0.8572
0.2915 0.7500 0.3572
0.4390 0.7500 0.1337
0.4502 0.7500 0.6400
0.5498 0.2500 0.3600
0.5610 0.2500 0.8663
0.7085 0.2500 0.6428
0.7915 0.7500 0.1428
0.9390 0.7500 0.3663
0.9502 0.7500 0.8600
0.0964 0.2500 0.4046
0.1325 0.7500 0.9891
0.2228 0.7500 0.6914
0.2772 0.2500 0.1914
0.3675 0.2500 0.4891
0.4036 0.7500 0.9046
0.5964 0.2500 0.0954
0.6325 0.7500 0.5109
0.7228 0.7500 0.8086
0.7772 0.2500 0.3086
0.8675 0.2500 0.0109
0.9036 0.7500 0.5954
0.0306 0.2500 0.7986
0.4694 0.7500 0.2986
0.5306 0.2500 0.7014
0.9694 0.7500 0.2014
```

=====

# 1
The following is a theoretical X-ray diffraction stick pattern of La2Nd4Sm3. It was derived from a PBE-relaxed structure, using Cu Kα, 1.54184 Å.
~~~
-Queue Workers: Laravel’s queue worker functionality makes it easy to defer lengthy tasks, such as sending emails or processing images, until a later time. This can drastically improve the speed of your web application.
-Scheduled Tasks: Laravel’s built-in scheduler makes it easy to schedule recurring tasks, such as sending out a daily digest email or running database backups.
With the ever-growing popularity of Laravel, it is no wonder that this PHP framework is being called the best choice for web development in 2022 and beyond. Not only does it offer an amazing set of features, but it is also constantly being updated with new features and improvements. If you are looking for a reliable and powerful PHP framework to help you build your next website or web application, then Laravel should definitely be at the top of your list.